-- Material --
'''
This entry pairs a crystal structure of NdTlZn with its theoretical X-ray diffraction stick pattern. Radiation: Cu Kα (weighted mean of Kα1 and Kα2). Structure: a GGA-PBE-relaxed structure.
No peak broadening, texture or thermal motion is included.

Atomic structure:
Unit cell a=4.7896 b=4.7896 c=7.6501 alpha=90.00 beta=90.00 gamma=120.00
Space group P6_3/mmc (No. 194)
Symmetry-distinct sites (fractional):
Nd: 0.0000 0.0000 0.0000 [2 per cell]
Tl: 0.3333 0.6667 0.2500 [2 per cell]
Zn: 0.3333 0.6667 0.7500 [2 per cell]

Largest 8 diffraction maxima, in order of rising 2θ, 2θ from 10° to 90°:
(hkl)  2theta  I/Imax
1 0 1  24.4  30
1 0 2  31.8  100
1 1 0  37.6  71
2 0 2  50.0  28
1 1 4  62.1  32
2 1 2  64.2  27
3 0 0  67.8  12
3 0 4  86.9  13

----------

The following is a theoretical X-ray diffraction stick pattern of Pm5Sb3Ir. It was derived from a DFT-relaxed cell (PBE, OQMD), using Cu Ka.
Lines closer than 0.1° are merged.

Most intense lines, 15 to 90 degrees two-theta, in order of rising 2θ:
two_theta	Rel. int.
30.93	84.5
31.27	64.6
33.17	100.0
35.59	56.4
39.22	76.7
58.28	44.3

Structural model:
```
data_Pm5Sb3Ir
_symmetry_space_group_name_H-M 'P -6 2 m'
_symmetry_Int_Tables_number 189
_symmetry_space_group_name_Hall 'P -6 -2'
_cell_length_a 8.7391
_cell_length_b 8.7391
_cell_length_c 3.8553
_cell_angle_alpha 90.00
_cell_angle_beta 90.00
_cell_angle_gamma 120.00
loop_
_atom_site_label
_atom_site_fract_x
_atom_site_fract_y
_atom_site_fract_z
Pm1 0.0000 0.2363 0.0000
Pm2 0.3333 0.6667 0.0000
Sb1 0.0000 0.6047 0.5000
Ir1 0.0000 0.0000 0.5000
```

=====

The following is a theoretical X-ray diffraction stick pattern of YZnCuSe3. It was derived from a DFT-relaxed cell (PBE, OQMD), using Cu Ka.
Lines closer than 0.1° are merged.

Most intense lines, 15 to 90 degrees two-theta, in order of rising 2θ:
two_theta	Rel. int.
28.76	37.2
32.71	49.2
35.23	23.8
35.90	100.0
46.17	27.0
47.74	27.1

Structural model:
```
data_YZnCuSe3
_symmetry_space_group_name_H-M 'C m c m'
_symmetry_Int_Tables_number 63
_symmetry_space_group_name_Hall '-C 2c 2'
_cell_length_a 3.810
_cell_length_b 12.702
_cell_length_c 10.674
_cell_angle_alpha 90.00
_cell_angle_beta 90.00
_cell_angle_gamma 90.00
loop_
_atom_site_label
_atom_site_fract_x
_atom_site_fract_y
_atom_site_fract_z
Y1 0.000 0.000 0.000
Zn1 0.000 0.226 0.250
Cu1 0.000 0.481 0.750
Se1 0.000 0.108 0.750
Se2 0.000 0.349 0.583
```

=====

The following is a theoretical X-ray diffraction stick pattern of TbTmIn4. It was derived from a DFT-relaxed cell (PBE, OQMD), using Cu Ka.
Lines closer than 0.1° are merged.

Most intense lines, 15 to 90 degrees two-theta, in order of rising 2θ:
two_theta	Rel. int.
33.37	100.0
38.12	16.0
38.87	16.9
39.19	16.5
66.91	12.9
67.35	12.7

Structural model:
```
data_TbTmIn4
_symmetry_space_group_name_H-M 'A m m 2'
_symmetry_Int_Tables_number 38
_cell_length_a 4.634
_cell_length_b 4.597
_cell_length_c 14.166
_cell_angle_alpha 90.00
_cell_angle_beta 90.00
_cell_angle_gamma 90.00
loop_
_symmetry_equiv_pos_as_xyz
'x,y,z'
'-x,-y,z'
'-x,y,z'
'x,-y,z'
'x,y+1/2,z+1/2'
'-x,-y+1/2,z+1/2'
'-x,y+1/2,z+1/2'
'x,-y+1/2,z+1/2'
loop_
_atom_site_label
_atom_site_fract_x
_atom_site_fract_y
_atom_site_fract_z
Tb1 0.000 0.000 0.000
Tm1 0.000 0.000 0.310
In1 0.000 0.000 0.656
In2 0.500 0.000 0.157
In3 0.500 0.000 0.479
In4 0.500 0.000 0.830
```

=====

The following is a theoretical X-ray diffraction stick pattern of Nd2Sm2CI2Br3. It was derived from a DFT-relaxed cell (PBE, OQMD), using Cu Ka.
Lines closer than 0.1° are merged.

Most intense lines, 15 to 90 degrees two-theta, in order of rising 2θ:
two_theta	Rel. int.
28.94	43.1
30.84	100.0
33.01	40.3
42.74	24.0
42.86	43.3
45.47	18.6

Structural model:
```
data_Nd2Sm2CI2Br3
_symmetry_space_group_name_H-M 'C 1 2/m 1'
_symmetry_Int_Tables_number 12
_cell_length_a 19.001
_cell_length_b 3.990
_cell_length_c 8.440
_cell_angle_alpha 90.00
_cell_angle_beta 103.06
_cell_angle_gamma 90.00
loop_
_symmetry_equiv_pos_as_xyz
'x,y,z'
'-x,-y,-z'
'-x,y,-z'
'''
-- Wanted --
Filter the lines above: keep the lines with the word "alpha".
-- Response --
Unit cell a=4.7896 b=4.7896 c=7.6501 alpha=90.00 beta=90.00 gamma=120.00